## File
ORCA calculation (ωB97M-V/def2-TZVPD) on a gas-phase ion, C7H8ClN2O2S (charge +1) in a non-equilibrium geometry.

Element x y z (Å)
C -0.277 -0.759 3.282
C -0.670 -0.510 1.969
C 1.040 -0.364 3.570
C 0.346 0.088 1.202
C 0.267 0.384 -0.178
C -2.253 -0.181 -2.340
C 1.494 0.355 -2.413
N 1.286 -0.053 -0.930
N -0.887 0.920 -0.540
O -2.674 -0.864 -1.482
O -1.311 1.200 -1.756
S 1.791 0.190 2.178
Cl -2.545 0.054 -3.914
H -1.002 -1.334 3.860
H -1.536 -0.914 1.502
H 1.743 -0.567 4.370
H 2.383 -0.170 -2.822
H 0.475 0.208 -2.979
H 1.669 1.439 -2.336
H 2.065 -0.442 -0.458
H -1.403 1.319 0.215

As for the net charge: +1. The strongest force on any atom comes out at 0.08133 Eh/bohr. For the LUMO energy, the calculation gives -4.0 eV. Its HOMO-LUMO gap is 8.88 eV. The calculation puts the energy relative to the best compared isomer or geometry (same formula, charge and spin) at 31.9 kcal per mole.



ORCA calculation (ωB97M-V/def2-TZVPD) on a gas-phase ion, C7H8ClN3 (charge +2) in a non-equilibrium geometry.

Element x y z (Å)
C -2.565 0.109 0.452
C -2.024 1.112 -0.323
C 1.479 -0.026 -0.232
C -1.682 -0.916 0.867
C 0.670 2.227 -2.442
C -0.658 1.117 -0.662
C 2.202 -1.178 0.198
N -0.427 -0.900 0.572
N -0.220 2.162 -1.460
N 0.133 0.088 -0.144
Cl 1.063 3.568 -3.244
H -3.610 0.095 0.724
H -2.662 1.904 -0.693
H 1.998 0.810 -0.696
H -2.009 -1.761 1.459
H 2.882 -0.923 1.029
H 1.572 -2.017 0.488
H 2.942 -1.458 -0.568
H -0.891 2.947 -1.397

As for the net charge: +2. The strongest force on any atom comes out at 0.02753 Eh/bohr. For the LUMO energy (spin up / spin down), the calculation gives -11.4 / -10.6 eV. Its HOMO-LUMO gap (spin up / spin down) is 5.00 / 8.38 eV. The calculation puts the energy relative to the best compared isomer or geometry (same formula, charge and spin) at 72.5 kcal per mole.



ORCA calculation (ωB97M-V/def2-TZVPD) on a molecular structure, C7H8ClNOS.

Element x y z (Å)
C 3.030 -0.639 -1.238
C 1.168 -0.932 -2.427
C -0.189 -0.867 -2.565
C 0.393 -0.118 -0.482
C 1.533 -0.474 -1.150
C -2.117 1.516 2.466
C -1.462 0.220 2.914
H 3.471 -1.386 -0.575
H 3.616 0.283 -1.213
H -0.877 -1.105 -3.366
H -1.612 -0.199 -1.144
H 0.201 0.278 0.505
H -1.538 2.363 2.843
H -3.125 1.574 2.885
H -1.140 -0.470 2.108
N -0.643 -0.363 -1.357
O -1.308 -0.028 4.081
S 2.819 -1.289 -2.978
Cl -2.221 1.633 0.697

The strongest force on any atom comes out at 0.01091 Eh/bohr. For the LUMO energy, the calculation gives 0.4 eV. Its HOMO-LUMO gap is 8.23 eV. The calculation puts the energy relative to the best compared isomer or geometry (same formula, charge and spin) at 4.5 kcal per mole.

=====

Molecular formula: C22H60O10
Method: DFT, wB97M-V/def2-TZVPD

## Properties
**SMILES string**: CC(C)O.CC(C)O.CC(C)O.CC(C)O.CC(C)O.CC(C)O.OCCO.OCCO
**E**: -1626.45974 hartree

```
! RIJCOSX wB97M-V def2-TZVPD def2/J DEFGRID3
* xyz 0 1
C -3.1434 2.1372 2.2866
C -4.5038 2.9180 2.1891
C -4.7168 3.3931 0.7039
O -5.4939 2.0190 2.5482
H -2.2659 2.5929 1.8279
H -3.0402 1.1694 1.7959
H -2.8503 1.8531 3.2973
H -4.4996 3.7492 2.8941
H -4.9798 2.5146 0.1147
H -3.8908 3.9898 0.3169
H -5.5801 4.0560 0.6455
H -6.2548 2.2435 2.0076
C 2.4996 -0.1088 3.4036
C 1.5603 -1.2151 3.8928
C 2.4057 -2.4158 4.6237
O 0.6977 -0.7807 4.9257
H 2.0872 0.8541 3.7048
H 2.4804 -0.0511 2.3153
H 3.4836 -0.2542 3.8493
H 0.9874 -1.6216 3.0593
H 2.6191 -3.1379 3.8356
H 1.7033 -2.8107 5.3577
H 3.3083 -2.0879 5.1394
H 1.2171 -0.6082 5.7145
C 4.5851 -1.9788 -1.2431
C 4.5319 -2.9083 -0.1240
C 3.0932 -3.3563 0.2840
O 5.3077 -4.0414 -0.4231
H 3.8786 -1.1524 -1.1656
H 4.2227 -2.5100 -2.1232
H 5.5690 -1.5624 -1.4586
H 4.8775 -2.3377 0.7380
H 2.4961 -3.8483 -0.4837
H 2.4946 -2.4875 0.5577
H 3.1247 -4.1350 1.0461
H 4.7579 -4.7665 -0.7290
C -4.1779 -0.6165 -0.6776
C -3.7854 -0.7768 -2.1340
C -2.7261 -1.8392 -2.4418
O -4.9721 -1.0954 -2.8329
H -5.2426 -0.8279 -0.5785
H -4.0217 0.4275 -0.4059
H -3.4830 -1.1426 -0.0230
H -3.4651 0.1712 -2.5664
H -2.4757 -1.7232 -3.4963
H -3.1083 -2.8574 -2.3702
H -1.8347 -1.6980 -1.8307

## What to do
The reader should retype the block above exactly.

## Worked solution
ORCA calculation (ωB97M-V/def2-TZVPD) on a gas-phase ion, C7H8ClN2O2S (charge +1) in a non-equilibrium geometry.

Element x y z (Å)
C -0.277 -0.759 3.282
C -0.670 -0.510 1.969
C 1.040 -0.364 3.570
C 0.346 0.088 1.202
C 0.267 0.384 -0.178
C -2.253 -0.181 -2.340
C 1.494 0.355 -2.413
N 1.286 -0.053 -0.930
N -0.887 0.920 -0.540
O -2.674 -0.864 -1.482
O -1.311 1.200 -1.756
S 1.791 0.190 2.178
Cl -2.545 0.054 -3.914
H -1.002 -1.334 3.860
H -1.536 -0.914 1.502
H 1.743 -0.567 4.370
H 2.383 -0.170 -2.822
H 0.475 0.208 -2.979
H 1.669 1.439 -2.336
H 2.065 -0.442 -0.458
H -1.403 1.319 0.215

As for the net charge: +1. The strongest force on any atom comes out at 0.08133 Eh/bohr. For the LUMO energy, the calculation gives -4.0 eV. Its HOMO-LUMO gap is 8.88 eV. The calculation puts the energy relative to the best compared isomer or geometry (same formula, charge and spin) at 31.9 kcal per mole.



ORCA calculation (ωB97M-V/def2-TZVPD) on a gas-phase ion, C7H8ClN3 (charge +2) in a non-equilibrium geometry.

Element x y z (Å)
C -2.565 0.109 0.452
C -2.024 1.112 -0.323
C 1.479 -0.026 -0.232
C -1.682 -0.916 0.867
C 0.670 2.227 -2.442
C -0.658 1.117 -0.662
C 2.202 -1.178 0.198
N -0.427 -0.900 0.572
N -0.220 2.162 -1.460
N 0.133 0.088 -0.144
Cl 1.063 3.568 -3.244
H -3.610 0.095 0.724
H -2.662 1.904 -0.693
H 1.998 0.810 -0.696
H -2.009 -1.761 1.459
H 2.882 -0.923 1.029
H 1.572 -2.017 0.488
H 2.942 -1.458 -0.568
H -0.891 2.947 -1.397

As for the net charge: +2. The strongest force on any atom comes out at 0.02753 Eh/bohr. For the LUMO energy (spin up / spin down), the calculation gives -11.4 / -10.6 eV. Its HOMO-LUMO gap (spin up / spin down) is 5.00 / 8.38 eV. The calculation puts the energy relative to the best compared isomer or geometry (same formula, charge and spin) at 72.5 kcal per mole.



ORCA calculation (ωB97M-V/def2-TZVPD) on a molecular structure, C7H8ClNOS.

Element x y z (Å)
C 3.030 -0.639 -1.238
C 1.168 -0.932 -2.427
C -0.189 -0.867 -2.565
C 0.393 -0.118 -0.482
C 1.533 -0.474 -1.150
C -2.117 1.516 2.466
C -1.462 0.220 2.914
H 3.471 -1.386 -0.575
H 3.616 0.283 -1.213
H -0.877 -1.105 -3.366
H -1.612 -0.199 -1.144
H 0.201 0.278 0.505
H -1.538 2.363 2.843
H -3.125 1.574 2.885
H -1.140 -0.470 2.108
N -0.643 -0.363 -1.357
O -1.308 -0.028 4.081
S 2.819 -1.289 -2.978
Cl -2.221 1.633 0.697

The strongest force on any atom comes out at 0.01091 Eh/bohr. For the LUMO energy, the calculation gives 0.4 eV. Its HOMO-LUMO gap is 8.23 eV. The calculation puts the energy relative to the best compared isomer or geometry (same formula, charge and spin) at 4.5 kcal per mole.

=====

Molecular formula: C22H60O10
Method: DFT, wB97M-V/def2-TZVPD

## Properties
**SMILES string**: CC(C)O.CC(C)O.CC(C)O.CC(C)O.CC(C)O.CC(C)O.OCCO.OCCO
**E**: -1626.45974 hartree

```
! RIJCOSX wB97M-V def2-TZVPD def2/J DEFGRID3
* xyz 0 1
C -3.1434 2.1372 2.2866
C -4.5038 2.9180 2.1891
C -4.7168 3.3931 0.7039
O -5.4939 2.0190 2.5482
H -2.2659 2.5929 1.8279
H -3.0402 1.1694 1.7959
H -2.8503 1.8531 3.2973
H -4.4996 3.7492 2.8941
H -4.9798 2.5146 0.1147
H -3.8908 3.9898 0.3169
H -5.5801 4.0560 0.6455
H -6.2548 2.2435 2.0076
C 2.4996 -0.1088 3.4036
C 1.5603 -1.2151 3.8928
C 2.4057 -2.4158 4.6237
O 0.6977 -0.7807 4.9257
H 2.0872 0.8541 3.7048
H 2.4804 -0.0511 2.3153
H 3.4836 -0.2542 3.8493
H 0.9874 -1.6216 3.0593
H 2.6191 -3.1379 3.8356
H 1.7033 -2.8107 5.3577
H 3.3083 -2.0879 5.1394
H 1.2171 -0.6082 5.7145
C 4.5851 -1.9788 -1.2431
C 4.5319 -2.9083 -0.1240
C 3.0932 -3.3563 0.2840
O 5.3077 -4.0414 -0.4231
H 3.8786 -1.1524 -1.1656
H 4.2227 -2.5100 -2.1232
H 5.5690 -1.5624 -1.4586
H 4.8775 -2.3377 0.7380
H 2.4961 -3.8483 -0.4837
H 2.4946 -2.4875 0.5577
H 3.1247 -4.1350 1.0461
H 4.7579 -4.7665 -0.7290
C -4.1779 -0.6165 -0.6776
C -3.7854 -0.7768 -2.1340
C -2.7261 -1.8392 -2.4418
O -4.9721 -1.0954 -2.8329
H -5.2426 -0.8279 -0.5785
H -4.0217 0.4275 -0.4059
H -3.4830 -1.1426 -0.0230
H -3.4651 0.1712 -2.5664
H -2.4757 -1.7232 -3.4963
H -3.1083 -2.8574 -2.3702
H -1.8347 -1.6980 -1.8307